(I realise this post isn't related to Amiga games, but if it's a success, it could lead to Amiga users meeting up and playing games together on a semi-regular basis).
Following the demise of Commodore back in 1994, the majority of Amiga user groups slowly dwindled in membership, and quietly passed into memory.
The South West Amiga Group (SWAG), which served Amigans based around the Swindon, Bristol and Bath area was no exception. It limped along into the early 2000's before folding due to lack of interest.
Seeing the continued success of the Lincs Amiga Group, English Amiga Board member zerohour1974, recently kicked-off a thread to see if there was any interest in bringing SWAG back to life.
At the time of posting this, four Amiga users based in the South West have expressed an interest, and a venue is being investigated.
If you think this is something you'd be keen to be part of then please respond to THIS thread over on the English Amiga Board.
Ranarama was developed by Graftgold and published by Hewson way back in 1987. Released on numerous platforms, this Gauntlet-like arcade adventure unfortunately failed to appear on the Amiga platform. Thankfully, this long-running situation may soon be rectified.
Taking a break from his ST to Amiga conversion of platformer Starquake, Galahad has been busy converting the ST version of Ranarama over to the trusty Amiga platform.
Here's a recent (6th Jan) post of his from over on the English Amiga Board;
"Fear not, Starquake is not forgotten, and 'should' be ready for release at the end of this month.
As a diversion from all things Starquake, and Christmas, and kids, and shouting, and building F*CKING Lego sets, I thought i'd take a look at Ranarama.
I say take a look, but an hour later it was ready for its first trial run......and bugger me, it was working first time.
A few bug fixes later and a working joystick routine and the Frog is moving around the game.
Still plenty of work to be done, but just an example of where we are right now."
Once the initial excitement from EAB members had died down, talk then turned to the soundtrack. Could an Amiga 500 (the conversion is being coded to hopefully run on an Amiga 500) decode and play the original AY soundtrack in realtime?
Unfortunately, with the overhead involved in running the game code there simply wouldn't be enough CPU power left to play the original soundtrack. Thankfully, fellow EAB member musojon74 came to the rescue, and is now working on an Amiga version of the game music. You can check it out at https://www.instagram.com/p/BAUo9-8mdab/
I'll upload further Ranarama related developments to the blog as and when they're announced. In the meantime, if you'd like to follow the chatter for yourself visit THIS LINK over on the English Amiga Board.
The Amiga had countless side-scrolling platform games released for it during its commercial lifespan, and it would seem that a number of developers feel there's room for at least one more.
Currently under development by Amiten Software is "The Dream of Rowan". Coded in AMOS and AMAL (AMOS Animation Language), the project is, at present, up on Kickstarter and looking for your donations to help reach the EUR 4,000 total.
With EUR 1,741 raised at present, and only four days to go until the Kickstarter ends, the development team have released a work in progress demo version for you to download and try out.
Check out the main Dream of Rowan Kickstarter page HERE for an overview of the project and a summary video, and find the demo download link HERE.
We do hope the Kickstarter manages to reach its target, but with only four days remaining it doesn't look promising.
Hopefully, regardless of whether the Kickstarter is a success, the game will still see a full release.
It's been over three months since I last updated the blog, and for that I must apologise. Once again a busy work and home life has meant that my time dedicated to the Amiga has been limited to playing a few games on my Gotek equipped A500, and rummaging through the excellent Mod Archive.
I'm hoping that in 2016 I'll be able to keep the blog updated on a more regular basis, but if that's not possible I'll post as and when I can. The blog is far from dead. It's just that at times it may go through a quiet spell or two.
So, what's been going on in the Amiga gaming world since I posted way back in September? Here's a brief whistle-stop look at some of the highs over the past three months or so.
Elves Dreamland
Released in the run-up to Christmas 2015, Elves Dreamland is a flip-screen platformer that's been put together using the Jet Set Billy map editor.
The object of the game sounds simple - collect all 200 items to complete the game. Naturally, completing the task will be anything but simple.
With some really lovely colourful graphics, you'd struggle to spot that the Jet Set Billy editor has been used, such is the quality of the mod. Unfortunately, as the game runs the same code as Jet Set Billy, it still features one of the worst jumping mechanics known to man. You have to jump vertically, and then move left or right. It does take a bit of getting used to.
The jumping is my only niggle in what is otherwise is an excellent release.
Try Elves Dreamland if Jet Set Willy clones are your thing.
If you'd like to try the game out for yourself you can download it here, and if you'd like to see what the game looks like running, check out this clip over on YouTube.
Finally, if you fancy joining in the chat relating to this recent release, check out this thread over on the English Amiga Board.
Tales of Gorluth - Free Download
As Christmas got closer English Amiga Board moderator, and Amiga games creator Viddi announced that his Zelda-like RPG Tales of Gorluth Part 1, was now free to download.
Rated "The Best Amiga Game of 2014", the free giveaway was a nice Christmas present to the Amiga community, and at the same time a great way to drum up interest and pre-orders for Tales of Gorluth Part 2 (see trailer below).
To download part 1, go to the Tales of Gorluth web site, at http://www.talesofgorluth.de, and while you're there consider purchasing a physical copy of part 1 and pre-ordering part 2.
It's not often I cover applications on this blog (I have dedicated a post or two to AMOS many moons ago), but WHDLoad isn't just any application.
For those of you not in the know, WHDLoad gives you the ability to install classic Amiga games to hard drive (even those that weren't originally hard drive installable), apply patches/cheats, and even improve compatibility.
Previous versions have required pay for registration, but as of version 18.2, which was released on the 23rd December, the program no longer requires a keyfile. If the application finds a keyfile on your hard drive it will continue to display your name on the splash screen.
With the application now available for free many in the Amiga community were concerned that this would mean that WHDLoad would cease to be developed. Developer Bert Jahn confirmed over on the Amiga.org web site that; "Development will continue. There are no plans to change anything".
To download the latest version of WHDLoad, head on over to the official web site at http://whdload.de/index.html. If you'd like to join in the thread relating to this latest release, then check out this thread over on the English Amiga Board.
Shokaku 68020 Amiga 30th Anniversary Edition
Here's something you don't see every day - a new Amiga release from Japan.
Entitled "Hanafuda", this game uses graphical representations of the Japanese cards of the same name.
# Inserted here: calculated crystals
/*
1.
Computed, not measured: crystalline Er2AgPd at its relaxed geometry at the PBE level of DFT.

```
Er2AgPd
1.0
-3.577 1.704 0.869
-2.998 -0.073 -2.731
-4.453 -5.554 2.025
Er Ag Pd
2 1 1
Cartesian
-2.704 -0.837 -0.022
-8.324 -3.086 0.185
-5.514 -1.962 0.081
0.000 0.000 0.000
```

Summary:
As for the formation energy: -0.464 eV/atom. The volume is 100 Å³/f.u. The density of states at the Fermi level is 0.3528 states/eV/atom. For the total energy, the calculation gives -0.34959 Ry/atom. For the density, the calculation gives 9.11 Mg/m³. The symmetry is R-3m, No. 166.


2.
Computed, not measured: crystalline Tl2Ga6Hg at its relaxed geometry at the PBE level of DFT.

```
Tl2Ga6Hg
1.0
-3.697 4.279 -2.249
-2.426 -0.680 -5.540
-5.025 -2.992 2.567
Ga Tl Hg
6 2 1
Cartesian
-2.854 -0.390 -0.514
-3.965 -0.701 -3.051
-8.293 0.998 -4.707
-7.183 1.309 -2.170
-4.547 1.570 -1.544
-6.601 -0.962 -3.677
-6.435 -1.417 -0.351
-4.712 2.024 -4.870
0.000 0.000 0.000
```

Summary:
As for the formation energy: 0.033 eV/atom. The volume is 205 Å³/f.u. The density of states at the Fermi level is 0.4131 states/eV/atom. For the total energy, the calculation gives -0.18702 Ry/atom. For the density, the calculation gives 8.33 Mg/m³. The symmetry is P-3m1, No. 164.


3.
Computed, not measured: crystalline Tb2ErThAs4 at its relaxed geometry at the PBE level of DFT.

```
Tb2ErThAs4
1.0
4.164 0.000 0.000
0.000 7.198 -0.144
0.000 2.532 6.728
As Th Tb Er
4 1 2 1
Cartesian
0.000 7.305 4.900
4.164 2.424 1.685
2.082 6.037 1.603
2.082 3.693 4.982
2.082 3.599 -0.072
0.000 2.532 6.728
2.082 1.266 3.364
0.000 4.865 3.292
```

Summary:
As for the formation energy: -1.513 eV/atom. The volume is 203 Å³/f.u. The density of states at the Fermi level is 0.1869 states/eV/atom. For the total energy, the calculation gives -0.47723 Ry/atom. For the density, the calculation gives 8.31 Mg/m³. The symmetry is P2/m, No. 10.


4.
Computed, not measured: crystalline TiBe4O2 at its relaxed geometry at the PBE level of DFT.

```
TiBe4O2
1.0
-1.132 -3.406 -2.652
4.248 -0.393 -1.308
2.452 -5.237 1.926
Be O Ti
4 2 1
Cartesian
2.124 -0.196 -0.654
-0.566 -1.703 -1.326
3.558 -5.447 -2.032
2.011 -3.590 -0.002
3.806 -6.371 -0.950
1.764 -2.666 -1.083
0.000 0.000 0.000
```

Summary:
The volume is 104 Å³/f.u. The density of states at the Fermi level is 0.3939 states/eV/atom. For the total energy, the calculation gives -0.29395 Ry/atom. For the density, the calculation gives 1.85 Mg/m³. Its formation energy (no corrections) is 4.72 eV per formula unit. The symmetry is I4/mmm, No. 139.


5.
Computed, not measured: crystalline BaIrCl2 at its relaxed geometry at the PBE level of DFT.

```
BaIrCl2
1.0
6.509 0.000 0.000
3.763 5.311 0.000
-5.136 -2.655 2.989
Ba Cl Ir
1 2 1
Cartesian
3.254 0.000 1.495
1.882 2.655 1.495
0.000 0.000 0.000
5.136 2.655 0.000
```

Summary:
*/
# The text goes on
The game is beautifully presented, and has been made to look like something you'd stumble upon in a Japanese arcade. Check out the footage below.
I have to admit that despite watching the demo I'm still at a loss as to how the game is actually played. Perhaps you'll have more luck.